When you set out to create a compelling blog, you want to engage the audience and position yourself as the expert on the topic you are sharing. But it is important to also write an SEO-friendly blog, so it is found, and of course read, when your audience is doing a search using your primary keywords.
If you are using WordPress for your blog (and these days, who isn’t), a great SEO plug-in — such as Yoast SEO — can make it easy to optimize your blog posts for search engines. But, if you aren’t careful, you can easily become a slave to your SEO software, writing and re-writing your post to make your plug-in happy. And you run the risk of watering down or dumbing-down your writing, or creating a stiff blog post that reads like it was written by a robot.
Remember, you’ve installed your SEO plug-in so you can hit all the marks in your blog post: set your focus keyword; set your image; create a good title. Unfortunately it’s easy to fall into the bad habit of repeatedly changing your posts to make your SEO software happy rather than keep to the content you want to promote.
Materials data that have nothing to do with the page:
<<<
[1]
First-principles (GGA-PBE) data for an optimized crystal structure of Sr2MgAg10, as listed in Alexandria via LeMat-Bulk.

The structure in extended XYZ format:
```
26
Lattice="6.123 0.000 0.000 0.000 6.245 0.000 0.000 0.000 18.223" Properties=species:S:1:pos:R:3 pbc="T T T"
Ag 4.420 1.684 1.361
Ag 0.000 3.263 11.939
Ag 1.703 1.439 10.473
Ag 6.123 5.751 5.514
Ag 1.702 1.684 1.361
Ag 0.000 0.494 12.709
Ag 6.123 0.775 7.974
Ag 6.123 2.982 6.284
Ag 0.000 0.140 15.396
Ag 6.123 2.629 3.598
Ag 1.702 4.807 7.750
Ag 4.420 4.561 16.862
Ag 0.000 5.471 10.250
Ag 0.000 3.617 14.626
Ag 0.000 2.348 17.085
Ag 6.123 6.105 2.828
Ag 1.703 4.561 16.862
Ag 4.420 1.439 10.473
Ag 6.123 3.897 1.138
Ag 4.420 4.807 7.751
Mg 0.000 3.123 9.112
Mg 0.000 0.000 0.000
Sr 3.062 1.445 16.240
Sr 3.061 4.801 1.984
Sr 3.062 4.567 11.096
Sr 3.061 1.678 7.128
```

As for the crystal system: orthorhombic. The energy of formation is 2.1 kJ/mol of atoms. As for the space group: Pbam (55).

---

[2]
First-principles (GGA-PBE) data for an optimized crystal structure of Th2Zn7, as listed in Alexandria via LeMat-Bulk.

The structure in extended XYZ format:
```
18
Lattice="-4.929 0.406 -2.431 -1.713 -3.956 -3.433 -7.613 -7.438 7.949" Properties=species:S:1:pos:R:3 pbc="T T T"
Th -5.176 -4.615 3.479
Th -7.477 -4.517 -4.334
Th -9.079 -6.374 -1.394
Th -6.779 -6.472 6.419
Zn -8.321 -5.175 3.516
Zn -5.323 -3.404 -2.268
Zn -7.566 -3.599 -0.923
Zn -6.689 -7.389 3.008
Zn -5.064 -3.805 0.311
Zn -3.321 -1.775 -2.932
Zn -2.465 0.203 -1.215
Zn -5.934 -5.813 -1.431
Zn -3.087 -2.195 -0.353
Zn -8.932 -7.585 4.353
Zn -0.857 -1.978 -1.716
Zn -11.168 -8.794 2.439
Zn -7.128 -5.494 1.043
Zn -9.191 -7.183 1.774
```

As for the crystal system: trigonal. The energy of formation is -22.1 kJ/mol of atoms. As for the space group: R-3m (166).

---

[3]
First-principles (GGA-PBE) data for an optimized crystal structure of TmSc2Ag2, as listed in Alexandria via LeMat-Bulk.

The structure in extended XYZ format:
```
10
Lattice="-1.636 -2.692 3.463 -1.675 -3.288 -3.347 9.282 -4.540 0.856" Properties=species:S:1:pos:R:3 pbc="T T T"
Tm 5.289 -6.415 2.258
Tm 0.683 -4.104 -1.286
Ag 8.235 -6.315 0.563
Ag -2.263 -4.205 0.408
Ag 1.785 -4.437 2.140
Ag 4.186 -6.082 -1.168
Sc 6.439 -7.460 -1.175
Sc 3.845 -3.780 0.461
Sc 2.126 -6.740 0.511
Sc -0.468 -3.060 2.147
```

As for the crystal system: monoclinic. The energy of formation is -7.5 kJ/mol of atoms. As for the space group: P2_1/m (11).

---

no.,calculated total energy (eV per atom)
1,-2.553
2,-2.868
3,-4.645

* * * * *

No. 1
The following is a PBE calculation of a relaxed Na6Tl3Hg2 crystal, from Alexandria via LeMat-Bulk.

a b c (Å): 5.8800 5.8800 21.7635
angles (deg): 90.00 90.00 90.00
Space group I4/mmm (No. 139)
Inequivalent atoms, fractional coordinates:
Na (0.0000, 0.0000, 0.2063) (multiplicity 4)
Na (0.0000, 0.5000, 0.0861) (multiplicity 8)
Tl (0.0000, 0.0000, 0.3508) (multiplicity 4)
Tl (0.0000, 0.0000, 0.5000) (multiplicity 2)
>>>
Here the page continues:
Your software may be telling you that you’re not using your focus keyword enough or in the right places such as the headers or first paragraph. You don’t score well in “readability” so your blog becomes “too hard” for readers; but do you need it to be “easily understood by 13-15 year old students?” Of course not… unless you are selling products to 15 year olds!
Does writing for SEO purposes and writing to captivate your audience have to be contradictory goals?
Not at all. You just need to keep content at the forefront of the process and remember that you know your target audience better than your WordPress plug-in.
+++
[1]
Li2NbV3O8 | meta-GGA SCAN | PBEsol geometry

Results
SG = R-3m, No. 166
Energy relative to the lowest polymorph listed for this composition = 43 meV per atom
Raw formation energy = -2.614 eV per atom
Crystal system = trigonal

Cell and atoms, written as POSCAR:
```
Li2NbV3O8
1.0
2.906 1.678 4.879
-2.906 1.678 4.879
0.000 -3.356 4.879
Li Nb V O
2 1 3 8
Direct
0.127 0.127 0.127
0.873 0.873 0.873
0.500 0.500 0.500
0.000 0.500 0.500
0.500 0.000 0.500
0.500 0.500 0.000
0.255 0.255 0.726
0.255 0.726 0.255
0.262 0.262 0.262
0.274 0.745 0.745
0.726 0.255 0.255
0.738 0.738 0.738
0.745 0.274 0.745
0.745 0.745 0.274
```

***

[2]
Li3NbV3O8 | meta-GGA SCAN | PBEsol geometry

Results
SG = R-3m, No. 166
Raw formation energy = -2.455 eV per atom
Crystal system = trigonal

Cell and atoms, written as POSCAR:
```
Li3NbV3O8
1.0
2.830 1.634 5.025
-2.830 1.634 5.025
0.000 -3.268 5.025
Li Nb V O
3 1 3 8
Direct
0.000 0.500 0.500
0.500 0.000 0.500
0.500 0.500 0.000
0.500 0.500 0.500
0.000 0.000 0.500
0.000 0.500 0.000
0.500 0.000 0.000
0.239 0.749 0.749
0.244 0.244 0.244
0.251 0.251 0.761
0.251 0.761 0.251
0.749 0.239 0.749
0.749 0.749 0.239
0.756 0.756 0.756
0.761 0.251 0.251
```

***

[3]
Li3NbV2O6 | meta-GGA SCAN | PBEsol geometry

Results
SG = P-1, No. 2
Energy relative to the lowest polymorph listed for this composition = 0 meV per atom
Raw formation energy = -2.471 eV per atom
Crystal system = triclinic

Cell and atoms, written as POSCAR:
```
Li3NbV2O6
1.0
5.628 0.000 0.000
1.380 6.475 0.000
2.714 1.854 5.802
Li Nb V O
6 2 4 12
Direct
0.000 0.000 0.000
0.172 0.665 0.334
0.314 0.348 0.684
0.500 0.000 0.000
0.686 0.652 0.316
0.828 0.335 0.666
0.271 0.010 0.494
0.729 0.990 0.506
0.122 0.342 0.163
0.452 0.680 0.819
0.548 0.320 0.181
0.878 0.658 0.837
0.060 0.646 0.062
0.118 0.021 0.248
0.197 0.345 0.431
0.268 0.671 0.613
0.357 0.002 0.778
0.462 0.343 0.918
0.538 0.657 0.082
0.643 0.998 0.222
0.732 0.329 0.387
0.803 0.655 0.569
0.882 0.979 0.752
0.940 0.354 0.938
```

***

[4]
Li2NbV3O8 | meta-GGA SCAN | PBEsol geometry

Results
SG = P6_3mc, No. 186
Energy relative to the lowest polymorph listed for this composition = 0 meV per atom
Raw formation energy = -2.657 eV per atom
Crystal system = hexagonal

Cell and atoms, written as POSCAR:
```
Li2NbV3O8
1.0
5.789 0.000 0.000
-2.894 5.013 0.000
0.000 0.000 9.700
Li Nb V O
4 2 6 16
Direct
0.000 0.000 0.000
0.000 0.000 0.500
0.333 0.667 0.095
0.667 0.333 0.595
0.333 0.667 0.500
0.667 0.333 0.000
0.176 0.351 0.776
0.176 0.824 0.776
0.351 0.176 0.276
0.649 0.824 0.776
0.824 0.176 0.276
0.824 0.649 0.276
0.000 0.000 0.188
0.000 0.000 0.688
0.030 0.515 0.649
0.166 0.332 0.393
0.166 0.834 0.393
0.332 0.166 0.893
0.333 0.667 0.894
0.485 0.515 0.649
0.485 0.970 0.649
0.515 0.030 0.149
0.515 0.485 0.149
0.667 0.333 0.394
0.668 0.834 0.393
0.834 0.166 0.893
0.834 0.668 0.893
0.970 0.485 0.149
```

***

[5]
Li3Nb2VO6 | meta-GGA SCAN | PBEsol geometry

Results
SG = C2/m, No. 12
Raw formation energy = -2.460 eV per atom
+++
So much for the materials data =
You are the expert.
Managing a business or marketing its products qualifies you as an expert in your particular field and, as such, you likely have something to say about your market that people might actually want to read — or even share.
Concentrate on the challenges your customers face, the market landscape and what your business does. The keywords in your posts should be many of the same ones that should already be integrated into your website, and should focus on the goals of your business. This will make it easy to use your primary keywords in a natural way so your posts don’t sound forced.
Create content based on your expertise that will drive people to your site and automatically help you create SEO friendly content.
Write to your audience.
What information does your target audience actually want? The key is to put your audience first and provide useful information, help fill a need or solve a problem.
By creating a strong content marketing plan and figuring out who you audience is and what they want, you can best determine the type of content you need… and allow this to inform the blog posts you create
The solution is simple — create the kind of content you’d like to share, connect the content to your expertise and follow the basic guidelines for optimal SEO. And let you SEO plug-in work for you, not the other way around!